Listing.
********
[1]
{
  "formula": "C3H5ClO2",
  "method": "ωB97M-V/def2-TZVPD",
  "e_tot_ha": -727.78658,
  "symbols": ["C", "C", "C", "O", "O", "Cl", "H", "H", "H", "H", "H"],
  "positions_angstrom": [[-0.7453, -1.0011, -0.0998], [-2.0239, -0.2971, 0.2628], [0.5140, -0.1361, -0.1992], [-1.3409, -0.7804, 1.2881], [-1.2793, 1.9419, 0.3298], [-3.4872, -0.1401, -0.3703], [-0.7305, -2.0070, -0.4715], [0.3195, 0.9495, -0.2940], [1.1199, -0.4329, -1.0670], [1.0990, -0.2995, 0.7571], [-0.5436, 2.1269, 0.9696]],
  "lowdin_charge": [-0.1605, -0.7393, -0.0600, 0.0490, -0.3480, 0.9137, 0.1326, 0.0522, 0.0772, 0.1082, -0.0250]
}



[2]
{
  "formula": "C3H5ClO2S",
  "method": "ωB97M-V/def2-TZVPD",
  "e_tot_ha": -1126.15042,
  "smiles": "O=C(S)[C@H](Cl)CO",
  "symbols": ["C", "C", "C", "H", "H", "H", "H", "H", "O", "O", "S", "Cl"],
  "positions_angstrom": [[0.4521, -0.9680, 0.9158], [0.0676, -0.3901, -0.4998], [-0.2318, 1.0860, -0.3386], [-0.7019, 0.2423, 1.8959], [1.5070, -0.6678, 1.1865], [0.4496, -2.0689, 0.7632], [1.0254, -0.4839, -1.0673], [-0.1262, 1.4346, -2.6809], [-0.4086, -0.6802, 1.9458], [-0.6045, 1.5508, 0.7286], [-0.1649, 2.2673, -1.6209], [-1.2638, -1.3221, -1.2284]],
  "lowdin_charge": [-0.3145, -0.6579, -0.8108, 0.0626, 0.1366, 0.1169, 0.1199, -0.1105, -0.0611, -0.0184, 0.8813, 0.6561]
}



[3]
{
  "formula": "C3H5ClP2",
  "method": "ωB97M-V/def2-TZVPD",
  "e_tot_ha": -1260.13082,
  "smiles": "C=CP(Cl)#P=C",
  "symbols": ["C", "C", "C", "P", "P", "Cl", "H", "H", "H", "H", "H"],
  "positions_angstrom": [[-0.1295, 1.3248, 0.6141], [1.1401, -1.3785, 0.2719], [-0.3670, 1.0612, -0.6627], [-0.3197, -1.9824, -0.3605], [-1.4373, -0.2931, -1.3497], [-2.9120, -0.2146, 0.0429], [0.6938, 2.0033, 0.8300], [-0.6266, 0.9308, 1.4461], [1.7707, -2.0548, 0.8153], [1.7378, -0.5465, -0.1318], [0.4497, 1.1497, -1.5157]],
  "lowdin_charge": [-0.1293, -0.4268, -0.5424, 0.6079, 0.2450, 0.1073, 0.0627, 0.0255, -0.0358, -0.0013, 0.0873]
}



[4]
{
  "formula": "C3H5ClS",
  "method": "ωB97M-V/def2-TZVPD",
  "e_tot_ha": -975.54826,
  "symbols": ["C", "C", "C", "S", "Cl", "H", "H", "H", "H", "H"],
  "positions_angstrom": [[-0.4765, 0.2158, -0.4724], [-0.1895, 0.2775, 1.0184], [0.8293, 0.6243, 0.0756], [2.0485, -1.5827, -0.0698], [1.9580, 1.8945, 0.0395], [-0.5561, -0.7987, -0.9062], [-1.2091, 0.7783, -0.8063], [-0.8095, 0.9714, 1.5980], [-0.2230, -0.6960, 1.4174], [2.9811, -0.8504, -0.6128]],
  "lowdin_charge": [-0.1538, -0.2028, -0.8153, 0.4395, 0.6885, 0.0990, 0.0473, 0.1227, 0.0721, -0.2972]
}



[5]
{
  "formula": "C3H5ClS",
  "method": "ωB97M-V/def2-TZVPD",
  "e_tot_ha": -975.64573,
  "smiles": "S[C@H]1C[C@@H]1Cl",
  "symbols": ["C", "C", "C", "H", "H", "H", "H", "H", "S", "Cl"],
  "positions_angstrom": [[0.3122, 0.5502, 0.0915], [-0.8384, -0.3183, -0.4505], [-0.0769, -0.7132, 0.8056], [1.6172, 1.5266, -1.6605], [0.0149, 1.4465, 0.5561], [-1.8118, 0.1071, -0.4467], [-0.6605, -0.9835, -1.2711], [0.5262, -1.6214, 0.8475], [1.8810, 0.4924, -0.8168], [-0.9640, -0.4864, 2.3449]],
  "lowdin_charge": [-0.6580, -0.1694, -0.6903, -0.1316, 0.0766, 0.0882, 0.0897, 0.0997, 0.7238, 0.5713]
}



[6]
{
  "formula": "C3H5ClS2",
  "method": "ωB97M-V/def2-TZVPD",
  "e_tot_ha": -1373.80974,
  "smiles": "C=CC(S)(S)Cl",
  "symbols": ["C", "C", "C", "S", "S", "Cl", "H", "H", "H", "H", "H"],
  "positions_angstrom": [[1.8276, 0.2428, -0.2220], [0.5932, -0.2814, -0.2286], [-0.7490, 0.1611, 0.2128], [-1.2825, -1.2082, 1.4036], [-1.7563, 0.2962, -1.5029], [-0.7223, 1.7402, 0.9459], [2.7394, -0.2868, -0.4311], [1.9370, 1.2346, -0.0149], [0.3970, -1.2591, -0.6146], [-2.3280, -0.5900, 2.0783], [-2.7997, 0.9681, -1.0009]],
  "lowdin_charge": [0.0454, -0.4055, -1.4029, 0.6701, 0.6312, 0.5895, 0.0665, 0.0139, 0.0696, -0.1112, -0.1666]
}



[7]
{
  "formula": "C3H5ClSi",
  "method": "ωB97M-V/def2-TZVPD",
  "e_tot_ha": -866.72744,
  "spin_multiplicity": 3,
  "symbols": ["C", "C", "C", "Si", "Cl", "H", "H", "H", "H", "H"],
********
Work order.
What is needed: type out everything earlier on character by character.
Written answer.
[1]
{
  "formula": "C3H5ClO2",
  "method": "ωB97M-V/def2-TZVPD",
  "e_tot_ha": -727.78658,
  "symbols": ["C", "C", "C", "O", "O", "Cl", "H", "H", "H", "H", "H"],
  "positions_angstrom": [[-0.7453, -1.0011, -0.0998], [-2.0239, -0.2971, 0.2628], [0.5140, -0.1361, -0.1992], [-1.3409, -0.7804, 1.2881], [-1.2793, 1.9419, 0.3298], [-3.4872, -0.1401, -0.3703], [-0.7305, -2.0070, -0.4715], [0.3195, 0.9495, -0.2940], [1.1199, -0.4329, -1.0670], [1.0990, -0.2995, 0.7571], [-0.5436, 2.1269, 0.9696]],
  "lowdin_charge": [-0.1605, -0.7393, -0.0600, 0.0490, -0.3480, 0.9137, 0.1326, 0.0522, 0.0772, 0.1082, -0.0250]
}



[2]
{
  "formula": "C3H5ClO2S",
  "method": "ωB97M-V/def2-TZVPD",
  "e_tot_ha": -1126.15042,
  "smiles": "O=C(S)[C@H](Cl)CO",
  "symbols": ["C", "C", "C", "H", "H", "H", "H", "H", "O", "O", "S", "Cl"],
  "positions_angstrom": [[0.4521, -0.9680, 0.9158], [0.0676, -0.3901, -0.4998], [-0.2318, 1.0860, -0.3386], [-0.7019, 0.2423, 1.8959], [1.5070, -0.6678, 1.1865], [0.4496, -2.0689, 0.7632], [1.0254, -0.4839, -1.0673], [-0.1262, 1.4346, -2.6809], [-0.4086, -0.6802, 1.9458], [-0.6045, 1.5508, 0.7286], [-0.1649, 2.2673, -1.6209], [-1.2638, -1.3221, -1.2284]],
  "lowdin_charge": [-0.3145, -0.6579, -0.8108, 0.0626, 0.1366, 0.1169, 0.1199, -0.1105, -0.0611, -0.0184, 0.8813, 0.6561]
}



[3]
{
  "formula": "C3H5ClP2",
  "method": "ωB97M-V/def2-TZVPD",
  "e_tot_ha": -1260.13082,
  "smiles": "C=CP(Cl)#P=C",
  "symbols": ["C", "C", "C", "P", "P", "Cl", "H", "H", "H", "H", "H"],
  "positions_angstrom": [[-0.1295, 1.3248, 0.6141], [1.1401, -1.3785, 0.2719], [-0.3670, 1.0612, -0.6627], [-0.3197, -1.9824, -0.3605], [-1.4373, -0.2931, -1.3497], [-2.9120, -0.2146, 0.0429], [0.6938, 2.0033, 0.8300], [-0.6266, 0.9308, 1.4461], [1.7707, -2.0548, 0.8153], [1.7378, -0.5465, -0.1318], [0.4497, 1.1497, -1.5157]],
  "lowdin_charge": [-0.1293, -0.4268, -0.5424, 0.6079, 0.2450, 0.1073, 0.0627, 0.0255, -0.0358, -0.0013, 0.0873]
}



[4]
{
  "formula": "C3H5ClS",
  "method": "ωB97M-V/def2-TZVPD",
  "e_tot_ha": -975.54826,
  "symbols": ["C", "C", "C", "S", "Cl", "H", "H", "H", "H", "H"],
  "positions_angstrom": [[-0.4765, 0.2158, -0.4724], [-0.1895, 0.2775, 1.0184], [0.8293, 0.6243, 0.0756], [2.0485, -1.5827, -0.0698], [1.9580, 1.8945, 0.0395], [-0.5561, -0.7987, -0.9062], [-1.2091, 0.7783, -0.8063], [-0.8095, 0.9714, 1.5980], [-0.2230, -0.6960, 1.4174], [2.9811, -0.8504, -0.6128]],
  "lowdin_charge": [-0.1538, -0.2028, -0.8153, 0.4395, 0.6885, 0.0990, 0.0473, 0.1227, 0.0721, -0.2972]
}



[5]
{
  "formula": "C3H5ClS",
  "method": "ωB97M-V/def2-TZVPD",
  "e_tot_ha": -975.64573,
  "smiles": "S[C@H]1C[C@@H]1Cl",
  "symbols": ["C", "C", "C", "H", "H", "H", "H", "H", "S", "Cl"],
  "positions_angstrom": [[0.3122, 0.5502, 0.0915], [-0.8384, -0.3183, -0.4505], [-0.0769, -0.7132, 0.8056], [1.6172, 1.5266, -1.6605], [0.0149, 1.4465, 0.5561], [-1.8118, 0.1071, -0.4467], [-0.6605, -0.9835, -1.2711], [0.5262, -1.6214, 0.8475], [1.8810, 0.4924, -0.8168], [-0.9640, -0.4864, 2.3449]],
  "lowdin_charge": [-0.6580, -0.1694, -0.6903, -0.1316, 0.0766, 0.0882, 0.0897, 0.0997, 0.7238, 0.5713]
}



[6]
{
  "formula": "C3H5ClS2",
  "method": "ωB97M-V/def2-TZVPD",
  "e_tot_ha": -1373.80974,
  "smiles": "C=CC(S)(S)Cl",
  "symbols": ["C", "C", "C", "S", "S", "Cl", "H", "H", "H", "H", "H"],
  "positions_angstrom": [[1.8276, 0.2428, -0.2220], [0.5932, -0.2814, -0.2286], [-0.7490, 0.1611, 0.2128], [-1.2825, -1.2082, 1.4036], [-1.7563, 0.2962, -1.5029], [-0.7223, 1.7402, 0.9459], [2.7394, -0.2868, -0.4311], [1.9370, 1.2346, -0.0149], [0.3970, -1.2591, -0.6146], [-2.3280, -0.5900, 2.0783], [-2.7997, 0.9681, -1.0009]],
  "lowdin_charge": [0.0454, -0.4055, -1.4029, 0.6701, 0.6312, 0.5895, 0.0665, 0.0139, 0.0696, -0.1112, -0.1666]
}



[7]
{
  "formula": "C3H5ClSi",
  "method": "ωB97M-V/def2-TZVPD",
  "e_tot_ha": -866.72744,
  "spin_multiplicity": 3,
  "symbols": ["C", "C", "C", "Si", "Cl", "H", "H", "H", "H", "H"],